Dear Sunday Letter friends,
Don’t you just love May? While I don’t know the history behind the maypole, I love the idea of it, girls dressed in floaty, flouncy dresses wrapping Easter-colored ribbons around and around and under and over. Hair woven with flowers—clover and daisies and baby’s breath.
May feeds me and fuels me; fills me now with words to use later. If I could, I would spend all of my time crawling on my hands and knees looking for every tiny change in each plant budding and blooming. (I do spend quite a bit of time doing this very thing—ha.)
The past few weeks have been excellent for migration. We’ve had goldfinches and rose-breasted grosbeaks at our feeder (always a thrill!), and the monarchs have been passing through laying eggs on our milkweed. Yay!
I know Christmas wears the moniker of being the most wonderful time of the year, but really, spring is hard to top.
The Power of Awe
I believe in the power of awe. Looking for and noticing awe can be life-changing. I automatically did this as a child (and you probably did too) because new delights and wonder filled each day. Life wasn’t perfect, but my sister and I found goodness easily: the ditches surrounding our fields held tadpoles and turtles; the turnrow was a racetrack for our Matchbox cars; the backyard cherry trees provided afternoon snacking in late July.
Somewhere along the way we became more serious about school, spending more time solving for “x” and less time pondering roly poly bugs underneath rocks. But I’m here to remind you that even as adults, life is large enough for both. Balancing the adult things we are called to do with those magical childhood pursuits can coexist. In fact, they complement each other nicely, one making the other more doable.
Awe is out there, everywhere, waiting to be seen and felt and heard. It’s up to us to slow down, look for it, and channel that inner child. We have to allow ourselves to be amazed every single day.
I’m not a doctor or psychologist, and I preach about the power of awe based solely on my personal experience and common sense. But for me, carving out a few minutes to notice awe provides fuel and positivity throughout my day. And it’s true—how you spend your days is how you spend your life. That’s Annie Dillard’s quote, not mine. And it’s maybe the truest thing ever said.
A few things that awed me last week:
- The first hummingbird of the season;
- Rain after a dry spell;
- A hawk soaring just over our house;
- First coneflower bloom of the season;
- Aroma of iris;
- Gift of a plant from a neighbor;
<<<
Below is a relaxed Na3MgGeP3O12 crystal, with properties calculated at the PBE level.

Values from the calculation:
total magnetization	0.00	μB/cell
ΔE to the lowest computed polymorph	0.004	eV per atom
formation energy from the elements	-2599	meV/atom
symmetry	Cc (9)
V	1440	Å³ per cell

Structure (CIF):
```
data_Na3MgGeP3O12
_cell_length_a 8.742
_cell_length_b 8.742
_cell_length_c 21.762
_cell_angle_alpha 90.00
_cell_angle_beta 90.12
_cell_angle_gamma 120.00
_symmetry_space_group_name_H-M 'P 1'
_symmetry_Int_Tables_number 1
_symmetry_space_group_name_Hall 'P 1'
loop_
_atom_site_label
_atom_site_type_symbol
_atom_site_fract_x
_atom_site_fract_y
_atom_site_fract_z
Na1 Na 0.991 0.980 0.497
Na2 Na 0.991 0.010 0.997
Na3 Na 0.667 0.335 0.830
Na4 Na 0.667 0.332 0.330
Na5 Na 0.332 0.666 0.164
Na6 Na 0.332 0.667 0.664
Na7 Na 0.368 0.362 0.249
Na8 Na 0.991 0.632 0.249
Na9 Na 0.991 0.359 0.749
Na10 Na 0.368 0.006 0.749
Na11 Na 0.307 0.342 0.582
Na12 Na 0.661 0.965 0.582
Na13 Na 0.307 0.965 0.082
Na14 Na 0.661 0.696 0.082
Na15 Na 0.973 0.676 0.915
Na16 Na 0.327 0.300 0.916
Na17 Na 0.973 0.298 0.415
Na18 Na 0.327 0.028 0.416
Mg1 Mg 0.995 0.996 0.353
Mg2 Mg 0.995 0.999 0.853
Mg3 Mg 0.667 0.339 0.686
Mg4 Mg 0.667 0.328 0.186
Mg5 Mg 0.330 0.662 0.019
Mg6 Mg 0.330 0.668 0.519
Ge1 Ge 0.997 0.993 0.649
Ge2 Ge 0.997 0.005 0.149
Ge3 Ge 0.669 0.327 0.983
Ge4 Ge 0.669 0.342 0.483
Ge5 Ge 0.339 0.672 0.316
Ge6 Ge 0.339 0.667 0.816
P1 P 0.292 0.997 0.252
P2 P 0.706 0.714 0.251
P3 P 0.001 0.292 0.253
P4 P 0.292 0.295 0.752
P5 P 0.001 0.709 0.753
P6 P 0.706 0.993 0.751
P7 P 0.958 0.333 0.585
P8 P 0.371 0.042 0.585
P9 P 0.674 0.626 0.585
P10 P 0.958 0.625 0.085
P11 P 0.674 0.047 0.085
P12 P 0.371 0.329 0.085
P13 P 0.624 0.666 0.920
P14 P 0.040 0.376 0.918
P15 P 0.341 0.961 0.918
P16 P 0.624 0.958 0.420
P17 P 0.341 0.380 0.418
P18 P 0.040 0.664 0.418
O1 O 0.208 0.027 0.308
O2 O 0.826 0.796 0.304
O3 O 0.980 0.188 0.310
O4 O 0.208 0.182 0.808
O5 O 0.980 0.791 0.810
O6 O 0.826 0.030 0.804
O7 O 0.785 0.959 0.689
O8 O 0.167 0.212 0.692
O9 O 0.045 0.836 0.695
O10 O 0.785 0.826 0.189
O11 O 0.045 0.209 0.195
O12 O 0.167 0.955 0.192
O13 O 0.873 0.354 0.642
O14 O 0.484 0.125 0.641
O15 O 0.636 0.509 0.639
O16 O 0.873 0.520 0.142
O17 O 0.636 0.127 0.139
O18 O 0.484 0.359 0.141
O19 O 0.453 0.287 0.026
O20 O 0.835 0.543 0.026
O21 O 0.709 0.163 0.024
O22 O 0.453 0.166 0.526
O23 O 0.709 0.546 0.524
O24 O 0.835 0.291 0.526
O25 O 0.543 0.689 0.977
O26 O 0.157 0.463 0.972
O27 O 0.308 0.848 0.974
O28 O 0.543 0.854 0.477
O29 O 0.308 0.460 0.474
O30 O 0.157 0.694 0.472
O31 O 0.118 0.621 0.357
O32 O 0.497 0.876 0.361
O33 O 0.373 0.495 0.358
O34 O 0.118 0.497 0.857
O35 O 0.373 0.878 0.858
O36 O 0.497 0.621 0.861
O37 O 0.019 0.825 0.410
O38 O 0.810 0.990 0.411
O39 O 0.181 0.194 0.411
O40 O 0.019 0.194 0.910
O41 O 0.181 0.987 0.911
O42 O 0.810 0.820 0.911
O43 O 0.971 0.156 0.588
O44 O 0.185 0.033 0.590
O45 O 0.843 0.817 0.590
O46 O 0.971 0.815 0.088
O47 O 0.843 0.026 0.090
O48 O 0.185 0.153 0.090
>>>
- Watching a neighbor’s dog play in his plastic swimming pool;
- A Momma robin’s determination to build her nest on our porch;
- The sound of tree frogs;
- First bloom on a relocated rose;
- Teeny monarch caterpillars!
What has awed you lately?
Wisconsin Book Club
I had the pleasure of hosting The Happy Bookers in my home a few weeks ago.
These ladies came for a book discussion of my third book, Bernice Runs Away. It was an amazing treat for me, and yes, I’m still in great awe that they traveled from Wisconsin to northwest Arkansas for this event.
How did this come to be?
I had donated a book club discussion for ten people to the Arkansas Master Gardener State conference’s silent auction last year. A Little Rock master gardener purchased it and invited her former Wisconsin book club group to participate. Wow.
We had a wonderful time and not only discussed the book, but also my writing process, publishing, marketing—all the things. When someone asked me which of my three books is my favorite, I said I couldn’t possibly choose. This may sound trite, but it’s true—they are all my favorites for different reasons.
Several days later, I continued to think about this question as I was working in the garden. We have a variety of iris blooming and every color is gorgeous to me. I couldn’t choose a favorite from my three books any more easily than I could choose a favorite iris.
Do you have a favorite?
Chili Lime Sugar Cookies
I shared this recipe on the blog almost nine years ago, and I think it’s high time to re-share for those who may have missed it or forgotten its yumminess. These are super-easy to bake because I use pre-packaged sugar cookies! A little heat with a twist of lime, seriously, these are yummy any time of year but quite perfect for the Cinco de Mayo Eve / Derby Day party we had yesterday.
Click HERE for the recipe.
Things Momma Says
I just like plain vodka.
Thanks for reading today’s May Sunday Letter. Now, go find some awe this week and please report back:)
Grace Grits and Gardening
Farm. Food. Garden. Life.
Spring has always been my favorite season.
Bright blooms bursting out in their Sunday best. Exciting to see favorite flowers reappear. No mosquitoes yet. Lush green grass, birds nesting. It’s never tiresome. Each Spring is full of Hope and Joy.
I agree!
I love May, too, and decided long ago that spring is my favorite season. Your yard is a showplace.
I’ve enjoy watching the progression of blooms on my street—from earliest crocus, jonquils, tulips to Bradford Pear, redbud, & tulip trees, to azaleas and dogwood. Our latest beauties were peonies and iris. My neighbor is giving me starts of her purple, yellow, and lavender irises.
I’m impressed with that traveling book club, which reminds me that it’s time to schedule a visit with my friends in LR! Tell your Mama hi!
_Unrelated to this piece: materials data_
+++
Entry 1:
Ba2DySbO6: optimized geometry, GGA-PBE.

extended XYZ file:
```
40
Lattice="8.518 0.000 0.000 0.000 8.518 0.000 0.000 0.000 8.518" Properties=species:S:1:pos:R:3 pbc="T T T"
Ba 2.130 2.130 2.130
Ba 2.130 2.130 6.389
Ba 2.130 6.389 2.130
Ba 2.130 6.389 6.389
Ba 6.389 2.130 2.130
Ba 6.389 2.130 6.389
Ba 6.389 6.389 2.130
Ba 6.389 6.389 6.389
Dy 0.000 0.000 0.000
Dy 0.000 4.259 4.259
Dy 4.259 0.000 4.259
Dy 4.259 4.259 0.000
Sb 0.000 0.000 4.259
Sb 0.000 4.259 0.000
Sb 4.259 0.000 0.000
Sb 4.259 4.259 4.259
O 0.085 2.016 4.341
O 0.085 2.243 8.437
O 0.082 4.344 6.502
O 0.082 8.433 6.275
O 2.016 4.341 0.085
O 2.016 8.437 4.174
O 2.243 4.341 4.174
O 2.243 8.437 0.085
O 4.174 2.016 8.437
O 4.174 2.243 4.341
O 4.178 4.344 6.275
O 4.178 8.433 6.502
O 4.341 0.085 2.016
O 4.341 4.174 2.243
O 4.344 6.275 4.178
O 4.344 6.502 0.082
O 6.275 0.082 8.433
O 6.275 4.178 4.344
O 6.502 0.082 4.344
O 6.502 4.178 8.433
O 8.437 0.085 2.243
O 8.437 4.174 2.016
O 8.433 6.275 0.082
O 8.433 6.502 4.178
```

Values from the calculation:
Formation energy = -3.09 eV/atom

Entry 2:
Sr2Br2F: optimized geometry, GGA-PBE.

extended XYZ file:
```
5
Lattice="5.862 0.000 0.000 0.000 5.862 0.000 0.000 0.000 13.813" Properties=species:S:1:pos:R:3 pbc="T T T"
Sr 0.000 0.000 2.310
Sr 0.000 0.000 11.504
Br 0.000 0.000 5.030
Br 0.000 0.000 8.784
F 0.000 0.000 0.000
```

Values from the calculation:
Formation energy = -1.66 eV/atom

~~~~~

# 1
DFT (PBE-GGA) results for a relaxed KI3F16 crystal. Values from VASP.

ΔH_f (0 K): -2.1019 eV/atom
Energy with MP2020 corrections: -3.92 eV per atom
Crystal system: monoclinic
Space-group type: P2_1/c (14)
Mass density: 3.455 g/cm³

Cell and atoms, written as Quantum ESPRESSO input:
```
&SYSTEM
  ibrav = 0, nat = 160, ntyp = 3
/
ATOMIC_SPECIES
K 39.10 K.upf
I 126.90 I.upf
F 19.00 F.upf
CELL_PARAMETERS angstrom
14.023 0.000 0.000
0.000 14.171 0.000
-0.018 0.000 14.006
ATOMIC_POSITIONS angstrom
K 3.462 0.576 0.197
K 3.453 6.509 7.200
K 3.522 7.278 0.262
K 3.513 13.979 7.265
K 10.492 0.192 6.741
K 10.483 6.894 13.745
K 10.551 7.662 6.806
K 10.542 13.595 13.809
I 0.168 3.002 6.644
I 0.159 4.083 13.647
I 0.476 7.700 3.874
I 0.467 13.557 10.877
I 2.992 10.101 10.119
I 3.000 11.156 3.116
I 3.973 3.281 3.766
I 3.964 3.804 10.769
I 6.624 7.688 4.030
I 6.615 13.569 11.033
I 6.823 2.988 7.617
I 6.832 4.097 0.614
I 7.172 10.074 13.392
I 7.181 11.183 6.389
I 7.390 0.603 2.974
I 7.381 6.483 9.977
I 10.041 10.367 3.237
I 10.032 10.890 10.240
I 11.004 3.015 10.890
I 11.013 4.070 3.887
I 13.538 0.614 3.129
I 13.529 6.471 10.132
I 13.846 10.088 0.359
I 13.837 11.169 7.362
F 0.081 10.477 12.548
F 0.089 10.780 5.545
F 0.229 1.247 10.850
F 0.238 5.839 3.847
F 0.607 0.483 4.724
F 0.598 6.602 11.728
F 0.828 9.854 2.658
F 0.819 11.403 9.661
F 1.098 9.729 7.536
F 1.107 11.528 0.533
F 1.163 0.508 2.076
F 1.154 6.578 9.079
F 1.280 8.862 0.016
F 1.271 12.395 7.019
F 1.369 1.663 7.421
F 1.378 5.422 0.418
F 1.495 7.265 5.498
F 1.486 13.992 12.501
F 1.551 2.727 13.868
+++
Oh, and your view is so incredible—I bet especially so during spring. Miss you, friend!
Finding awe….when our one and two year old grandsons spend the night and we have time to do….Nothing! Just today…found a tiny snail crawling, found one of our wild box turtles (we have several!) to pet after seeing him way up in the backyard, walking on top of our long rock wall chasing a skink, (I think that’s what they’re called!), cutting roses to take to Mommy, watching the birds fly to the feeder, and swinging on the back porch….”higher, Ma!” A perfect spring morning! Happy May Talya!
Sounds wonderful. I look forward to experiencing that grandkid awe:))
I think way back in our histories somewhere we had the same Spring-loving relative😲😊. I’m not a dirt digger but I’m still in awe of Spring. I talk to God a lot then for His great big wide wonderful world❤️❤️❤️.
I always get a laugh out of things Momma says! Thank you for sharing!
Love these Newsletters and I always get a laugh out of things Momma says! Thank you for sharing!
Thanks, Angie!
Your statement, “May feeds me and fuels me; fills me now with words to use later.”, makes me think of a childhood book, “Frederic”, about a field mouse that soaked up the sun and glory of the summer when all his fellow field mice were working diligently to prepare and gather for the winter. When winter came, Frederic had marvelous stories to tell them to get them through the winter in a different way. ” Also, your momma just cracks me up completely. She is such a jewel.
I love your Sunday letters and I’m anxiously awaiting your next book.
Oh, I love this. Thanks, Kellie!